Say how many lines of the listing below hold the word "level", as a bare number.

********
Computed, not measured: a geometry-optimized La17Al4Si9N33 structure at the PBE level of DFT.

Properties
- Energy: -8.08 eV/atom
- M_tot: 0.00 μB/f.u.
- Calculated density: 5.7 Mg/m³

Cell: 10.925 10.925 10.925 Å, 60.00 60.00 60.00°
Fractional coordinates of all 63 atoms:
1 La 0.258 0.742 0.258
2 La 0.042 0.042 0.458
3 La 0.742 0.258 0.742
4 La 0.663 0.663 0.012
5 La 0.042 0.458 0.458
6 La 0.458 0.458 0.042
7 La 0.663 0.012 0.663
8 La 0.742 0.258 0.258
9 La 0.458 0.042 0.042
10 La 0.500 0.500 0.500
11 La 0.042 0.458 0.042
12 La 0.742 0.742 0.258
13 La 0.258 0.742 0.742
14 La 0.012 0.663 0.663
15 La 0.458 0.042 0.458
16 La 0.663 0.663 0.663
17 La 0.258 0.258 0.742
18 N 0.995 0.283 0.727
19 N 0.785 0.492 0.492
20 N 0.492 0.231 0.492
21 N 0.492 0.492 0.785
22 N 0.785 0.231 0.492
23 N 0.283 0.995 0.727
24 N 0.995 0.727 0.995
25 N 0.727 0.995 0.283
26 N 0.231 0.785 0.492
27 N 0.231 0.492 0.785
28 N 0.820 0.820 0.820
29 N 0.820 0.541 0.820
30 N 0.995 0.995 0.727
31 N 0.492 0.492 0.231
32 N 0.995 0.283 0.995
33 N 0.315 0.054 0.315
34 N 0.054 0.315 0.315
35 N 0.231 0.492 0.492
36 N 0.820 0.820 0.541
37 N 0.000 0.000 0.000
38 N 0.785 0.492 0.231
39 N 0.315 0.315 0.054
40 N 0.492 0.231 0.785
41 N 0.492 0.785 0.492
42 N 0.283 0.995 0.995
43 N 0.283 0.727 0.995
44 N 0.492 0.785 0.231
45 N 0.727 0.995 0.995
46 N 0.315 0.315 0.315
47 N 0.541 0.820 0.820
48 N 0.727 0.283 0.995
49 N 0.995 0.995 0.283
50 N 0.995 0.727 0.283
51 Si 0.383 0.383 0.383
52 Si 0.383 0.850 0.383
53 Si 0.885 0.885 0.885
54 Si 0.885 0.885 0.346
55 Si 0.850 0.383 0.383
56 Si 0.383 0.383 0.850
57 Si 0.885 0.346 0.885
58 Si 0.250 0.250 0.250
59 Si 0.346 0.885 0.885
60 Al 0.071 0.787 0.071
61 Al 0.071 0.071 0.787
62 Al 0.071 0.071 0.071
63 Al 0.787 0.071 0.071
********

1